(Given)
<<<
Entry 1:
Density functional theory data (wB97M-V/def2-TZVPD) for 2 unconnected molecules or ions with the total composition C3H3Br2F at a distorted geometry.

Geometry as XYZ:
```
9
Properties=species:S:1:pos:R:3:forces:R:3
C -1.378 -0.549 -0.599 -1.81 -0.69 -1.17
C -0.508 0.282 -0.040 -0.51 1.93 -1.53
C 0.639 -0.012 0.645 3.40 0.25 2.89
F 0.856 -1.226 1.054 -0.15 -0.25 -0.47
Br 3.680 0.204 -0.434 -1.47 0.00 0.33
Br -0.705 2.260 -0.167 -0.23 -1.54 0.18
H -1.348 -1.615 -0.966 0.70 1.16 1.19
H -2.343 -0.088 -0.822 0.24 -0.11 -0.28
H 1.107 0.743 1.330 -0.17 -0.74 -1.14
```
Positions in Å, forces in eV/Å.

The HOMO energy (spin up / spin down) is -8.67 / -8.68 eV. The value obtained for the calculated total energy is -145958.095 eV. The energy relative to the best compared isomer or geometry (same formula, charge and spin) is 259.48 kJ/mol.

Entry 2:
Density functional theory data (wB97M-V/def2-TZVPD) for 2 unconnected molecules or ions with the total composition C3H3Br2N at a distorted geometry.

Geometry as XYZ:
```
9
Properties=species:S:1:pos:R:3:forces:R:3
C -0.136 -0.143 -1.524 3.46 -0.57 -1.57
C -0.494 -0.593 -0.304 -3.38 -1.35 1.94
C -0.414 0.784 0.365 0.34 1.08 -0.08
N -0.356 1.056 -1.006 -2.27 1.35 1.61
Br 2.652 -0.766 2.356 -0.22 0.12 -0.35
Br -2.244 1.287 1.041 0.95 0.04 -0.02
H 0.582 -0.268 -2.300 -0.31 -0.76 -0.81
H -1.423 -1.142 0.063 1.29 0.12 -1.09
H 1.832 -0.215 1.309 0.13 -0.04 0.37
```
Positions in Å, forces in eV/Å.

The HOMO energy (spin up / spin down) is -9.10 / -9.10 eV. The value obtained for the calculated total energy is -144728.356 eV. The energy relative to the best compared isomer or geometry (same formula, charge and spin) is 544.67 kJ/mol.

Entry 3:
Density functional theory data (wB97M-V/def2-TZVPD) for C3H3Br2N in the gas phase at a distorted geometry.

Geometry as XYZ:
```
9
Properties=species:S:1:pos:R:3:forces:R:3
Br -3.469 -0.331 -0.027 1.01 -0.15 -0.13
C -1.590 -0.645 -0.109 2.40 1.72 -0.03
C -0.603 0.334 -0.313 -5.61 -2.96 0.53
N 0.642 -0.023 -0.241 6.69 -1.35 1.02
C 1.698 0.308 0.366 -1.55 -0.52 -2.24
Br 3.550 -0.371 -0.058 -1.76 0.29 0.33
H -1.151 -1.628 0.121 -1.00 0.29 0.08
H -0.834 1.228 -0.776 -0.52 2.17 -0.42
H 1.758 1.128 1.038 0.33 0.51 0.86
```
Positions in Å, forces in eV/Å.

The HOMO energy is -8.49 eV. The value obtained for the calculated total energy is -144732.311 eV. The energy relative to the best compared isomer or geometry (same formula, charge and spin) is 163.07 kJ/mol. Its SMILES is Br/C=C/N=C/Br.

Entry 4:
Density functional theory data (wB97M-V/def2-TZVPD) for 2 unconnected molecules or ions with the total composition C3H3Br2N3 at a distorted geometry.

Geometry as XYZ:
```
11
Properties=species:S:1:pos:R:3:forces:R:3
C 0.736 -0.021 0.085 -0.03 -0.43 -0.19
C -1.943 -0.195 -1.782 0.92 0.64 -0.88
C -2.133 -2.594 -1.368 -0.42 -0.01 -0.04
N 0.497 -1.119 -0.149 -0.16 -0.72 0.05
N -2.215 -1.345 -1.477 -0.15 -1.00 0.11
N 1.065 1.236 0.283 0.28 1.15 0.21
Br -2.809 1.290 -1.086 -0.58 0.30 0.47
Br -3.064 -3.746 -2.543 0.04 0.17 0.17
H -1.527 -3.065 -0.616 0.16 0.00 0.09
H 1.423 1.481 1.193 -0.07 0.01 -0.08
H 0.505 1.939 -0.177 0.02 -0.11 0.07
```
Positions in Å, forces in eV/Å.

The HOMO energy (spin up / spin down) is -8.17 / -8.17 eV. The value obtained for the calculated total energy is -147711.653 eV. The energy relative to the best compared isomer or geometry (same formula, charge and spin) is 195.44 kJ/mol.

Entry 5:
Density functional theory data (wB97M-V/def2-TZVPD) for 2 unconnected molecules or ions with the total composition C3H3Br2NO2 at a distorted geometry.

Geometry as XYZ:
```
11
Properties=species:S:1:pos:R:3:forces:R:3
C -1.460 -0.809 0.895 0.58 1.49 -0.31
C -0.986 0.535 0.661 2.69 -0.54 -0.61
C 0.857 0.157 -0.282 -0.93 0.22 1.97
N -1.794 -1.900 0.880 -0.34 -1.22 0.28
O 1.780 -0.422 0.541 -1.90 2.69 1.01
O 0.503 -0.591 -1.326 1.67 -1.65 1.97
Br -2.097 1.333 -0.722 0.50 0.07 0.66
Br 1.691 1.905 -0.590 -0.70 0.23 -0.49
H -0.760 1.135 1.578 -0.49 -0.33 -1.14
>>>

(Exercise)
What is needed: print everything earlier on word for word.

(Worked solution)
Entry 1:
Density functional theory data (wB97M-V/def2-TZVPD) for 2 unconnected molecules or ions with the total composition C3H3Br2F at a distorted geometry.

Geometry as XYZ:
```
9
Properties=species:S:1:pos:R:3:forces:R:3
C -1.378 -0.549 -0.599 -1.81 -0.69 -1.17
C -0.508 0.282 -0.040 -0.51 1.93 -1.53
C 0.639 -0.012 0.645 3.40 0.25 2.89
F 0.856 -1.226 1.054 -0.15 -0.25 -0.47
Br 3.680 0.204 -0.434 -1.47 0.00 0.33
Br -0.705 2.260 -0.167 -0.23 -1.54 0.18
H -1.348 -1.615 -0.966 0.70 1.16 1.19
H -2.343 -0.088 -0.822 0.24 -0.11 -0.28
H 1.107 0.743 1.330 -0.17 -0.74 -1.14
```
Positions in Å, forces in eV/Å.

The HOMO energy (spin up / spin down) is -8.67 / -8.68 eV. The value obtained for the calculated total energy is -145958.095 eV. The energy relative to the best compared isomer or geometry (same formula, charge and spin) is 259.48 kJ/mol.

Entry 2:
Density functional theory data (wB97M-V/def2-TZVPD) for 2 unconnected molecules or ions with the total composition C3H3Br2N at a distorted geometry.

Geometry as XYZ:
```
9
Properties=species:S:1:pos:R:3:forces:R:3
C -0.136 -0.143 -1.524 3.46 -0.57 -1.57
C -0.494 -0.593 -0.304 -3.38 -1.35 1.94
C -0.414 0.784 0.365 0.34 1.08 -0.08
N -0.356 1.056 -1.006 -2.27 1.35 1.61
Br 2.652 -0.766 2.356 -0.22 0.12 -0.35
Br -2.244 1.287 1.041 0.95 0.04 -0.02
H 0.582 -0.268 -2.300 -0.31 -0.76 -0.81
H -1.423 -1.142 0.063 1.29 0.12 -1.09
H 1.832 -0.215 1.309 0.13 -0.04 0.37
```
Positions in Å, forces in eV/Å.

The HOMO energy (spin up / spin down) is -9.10 / -9.10 eV. The value obtained for the calculated total energy is -144728.356 eV. The energy relative to the best compared isomer or geometry (same formula, charge and spin) is 544.67 kJ/mol.

Entry 3:
Density functional theory data (wB97M-V/def2-TZVPD) for C3H3Br2N in the gas phase at a distorted geometry.

Geometry as XYZ:
```
9
Properties=species:S:1:pos:R:3:forces:R:3
Br -3.469 -0.331 -0.027 1.01 -0.15 -0.13
C -1.590 -0.645 -0.109 2.40 1.72 -0.03
C -0.603 0.334 -0.313 -5.61 -2.96 0.53
N 0.642 -0.023 -0.241 6.69 -1.35 1.02
C 1.698 0.308 0.366 -1.55 -0.52 -2.24
Br 3.550 -0.371 -0.058 -1.76 0.29 0.33
H -1.151 -1.628 0.121 -1.00 0.29 0.08
H -0.834 1.228 -0.776 -0.52 2.17 -0.42
H 1.758 1.128 1.038 0.33 0.51 0.86
```
Positions in Å, forces in eV/Å.

The HOMO energy is -8.49 eV. The value obtained for the calculated total energy is -144732.311 eV. The energy relative to the best compared isomer or geometry (same formula, charge and spin) is 163.07 kJ/mol. Its SMILES is Br/C=C/N=C/Br.

Entry 4:
Density functional theory data (wB97M-V/def2-TZVPD) for 2 unconnected molecules or ions with the total composition C3H3Br2N3 at a distorted geometry.

Geometry as XYZ:
```
11
Properties=species:S:1:pos:R:3:forces:R:3
C 0.736 -0.021 0.085 -0.03 -0.43 -0.19
C -1.943 -0.195 -1.782 0.92 0.64 -0.88
C -2.133 -2.594 -1.368 -0.42 -0.01 -0.04
N 0.497 -1.119 -0.149 -0.16 -0.72 0.05
N -2.215 -1.345 -1.477 -0.15 -1.00 0.11
N 1.065 1.236 0.283 0.28 1.15 0.21
Br -2.809 1.290 -1.086 -0.58 0.30 0.47
Br -3.064 -3.746 -2.543 0.04 0.17 0.17
H -1.527 -3.065 -0.616 0.16 0.00 0.09
H 1.423 1.481 1.193 -0.07 0.01 -0.08
H 0.505 1.939 -0.177 0.02 -0.11 0.07
```
Positions in Å, forces in eV/Å.

The HOMO energy (spin up / spin down) is -8.17 / -8.17 eV. The value obtained for the calculated total energy is -147711.653 eV. The energy relative to the best compared isomer or geometry (same formula, charge and spin) is 195.44 kJ/mol.

Entry 5:
Density functional theory data (wB97M-V/def2-TZVPD) for 2 unconnected molecules or ions with the total composition C3H3Br2NO2 at a distorted geometry.

Geometry as XYZ:
```
11
Properties=species:S:1:pos:R:3:forces:R:3
C -1.460 -0.809 0.895 0.58 1.49 -0.31
C -0.986 0.535 0.661 2.69 -0.54 -0.61
C 0.857 0.157 -0.282 -0.93 0.22 1.97
N -1.794 -1.900 0.880 -0.34 -1.22 0.28
O 1.780 -0.422 0.541 -1.90 2.69 1.01
O 0.503 -0.591 -1.326 1.67 -1.65 1.97
Br -2.097 1.333 -0.722 0.50 0.07 0.66
Br 1.691 1.905 -0.590 -0.70 0.23 -0.49
H -0.760 1.135 1.578 -0.49 -0.33 -1.14